To do:
Copy the lines below from the one with "0.317 -1.934" to the one with "-0.081" unchanged.

Data:
........
Version P
Here is 2 unconnected molecules or ions with the total composition C4H10ClN2 from OMol25. Energies are from ωB97M-V with the def2-TZVPD basis set.

The value obtained for the LUMO energy is -4.443 eV. The value obtained for the HOMO energy is -13.053 eV.

```
! RIJCOSX wB97M-V def2-TZVPD def2/J DEFGRID3
* xyz 1 1
C -0.730 -0.335 0.375
C 2.971 0.728 -1.324
C -2.964 0.149 0.610
C 2.211 -0.019 -0.343
N -0.708 -1.580 0.642
N -1.673 0.574 0.267
Cl 2.876 0.365 1.157
H 2.998 1.759 -1.236
H 4.069 0.508 -1.306
H 2.704 0.442 -2.330
H -2.942 -0.737 1.126
H -3.528 0.045 -0.350
H -3.390 0.897 1.194
H 0.373 -0.038 0.296
H 0.317 -1.934 0.609
H -1.328 -2.339 0.516
H -1.255 1.515 0.097
*
```

---

Version Q
Here is a molecular structure, C4H10ClN2 from OMol25. Energies are from ωB97M-V with the def2-TZVPD basis set.

The value obtained for the LUMO energy is -3.184 eV. The value obtained for the HOMO energy is -12.783 eV.

```
! RIJCOSX wB97M-V def2-TZVPD def2/J DEFGRID3
* xyz 1 1
C 0.908 -0.165 -0.279
C 0.672 1.123 -0.714
C -3.168 1.837 0.643
C -2.095 1.073 0.754
N 1.210 -1.249 -0.081
N 1.625 -3.691 0.119
Cl -1.981 -0.227 -0.370
H 1.379 1.813 -0.381
H 0.711 1.173 -1.855
H -0.336 1.600 -0.546
H -3.791 1.605 -0.317
H -3.532 2.653 1.362
H -1.290 1.297 1.413
H 1.491 -2.567 -0.024
H 2.336 -3.966 0.971
H 0.763 -4.168 0.401
H 1.931 -4.237 -0.637
*
```

---

Most favorable structure: version Q. The second most favorable one is 1.842 eV above it.

* * * * *

Model a:
The following is a quantum chemistry calculation of an isolated molecule of C4H5ClS2, from the OMol25 dataset.

Geometry as ORCA input:
```
! RIJCOSX wB97M-V def2-TZVPD def2/J DEFGRID3
* xyz 0 1
C 0.01 1.51 0.43
C 0.22 0.17 -0.26
C 1.50 -0.08 -0.45
Cl 2.18 -1.52 -0.97
C -1.02 -0.77 -0.37
S -2.29 -0.78 -1.40
S -0.66 -1.98 0.85
H -0.52 1.34 1.32
H -0.66 2.06 -0.24
H 1.03 2.01 0.71
H 2.08 0.83 -0.41
H -1.87 -2.78 0.79
*
```

Computed properties:
HOMO-LUMO gap	8.5	eV
HOMO level	-8.993	eV
structure (SMILES)	C/C(=C/Cl)C(=S)S

Here are the natural (NBO) charges for atoms 1 to 8, given in e: number 1, C, carries -0.612; number 2, C, carries -0.096; number 3, C, carries -0.233; number 4, Cl, carries 0.043; number 5, C, carries -0.307; number 6, S, carries 0.062; number 7, S, carries 0.105; number 8, H, carries 0.219


Model b:
The following is a quantum chemistry calculation of an isolated molecule of C4H5ClS2, from the OMol25 dataset.

Geometry as ORCA input:
```
! RIJCOSX wB97M-V def2-TZVPD def2/J DEFGRID3
* xyz 0 1
C 2.95 -0.58 -0.31
C 1.65 -0.25 -0.56
S 0.20 -0.80 0.30
C -1.10 0.39 0.12
S -0.68 1.94 -0.23
C -2.51 0.23 0.60
Cl -3.38 -0.81 -0.59
H 3.83 -0.16 -0.96
H 3.02 -1.31 0.53
H 1.33 0.45 -1.26
H -2.83 1.19 0.85
H -2.49 -0.31 1.53
*
```

Computed properties:
HOMO-LUMO gap	8.1	eV
HOMO level	-8.835	eV
structure (SMILES)	C=CSC(=S)CCl

Here are the natural (NBO) charges for atoms 1 to 8, given in e: number 1, C, carries -0.405; number 2, C, carries -0.346; number 3, S, carries 0.346; number 4, C, carries -0.304; number 5, S, carries 0.018; number 6, C, carries -0.434; number 7, Cl, carries -0.029; number 8, H, carries 0.243


Tell me which of them is the most stable. Sure, it is model a.


Model a:
The following is a quantum chemistry calculation of a cluster of 2 separate species, C5H12O2SSi in total, from the OMol25 dataset.

Geometry as ORCA input:
```
! RIJCOSX wB97M-V def2-TZVPD def2/J DEFGRID3
* xyz 0 1
C -2.93 -1.00 0.28
C 0.58 1.42 2.06
C 0.53 -2.89 -0.42
C 0.59 2.20 -1.52
C 0.15 0.38 1.33
O 0.38 -1.58 -0.95
O 0.62 0.77 -1.60
Si 0.95 -0.20 -0.35
S -2.34 0.53 -0.13
H -2.09 -1.73 0.19
H -3.55 1.16 0.14
H 0.03 1.49 3.06
H 1.52 2.02 1.82
H 1.49 -2.90 0.06
H 0.53 -3.61 -1.21
H -0.16 -3.11 0.30
H 1.32 2.47 -0.77
H -0.35 2.63 -1.20
H 0.91 2.74 -2.53
H -0.52 -0.33 1.85
H 2.33 -0.47 -0.40
*
```

Computed properties:
HOMO-LUMO gap	8.6	eV
HOMO level	-8.690	eV
........

Result:
H 0.317 -1.934 0.609
H -1.328 -2.339 0.516
H -1.255 1.515 0.097
*
```

---

Version Q
Here is a molecular structure, C4H10ClN2 from OMol25. Energies are from ωB97M-V with the def2-TZVPD basis set.

The value obtained for the LUMO energy is -3.184 eV. The value obtained for the HOMO energy is -12.783 eV.

```
! RIJCOSX wB97M-V def2-TZVPD def2/J DEFGRID3
* xyz 1 1
C 0.908 -0.165 -0.279
C 0.672 1.123 -0.714
C -3.168 1.837 0.643
C -2.095 1.073 0.754
N 1.210 -1.249 -0.081